Jul 13, 2020



Crafting Your Telemedicine Approach Through the Coronavirus Outbreak

By Healthgrades Staff

Amid a widespread outbreak of the novel coronavirus, health systems are undergoing significant changes. One such change involves hospitals postponing non-emergency office visits to control the spread of the virus, spurring health systems to begin to investigate the merits of telemedicine. Then, telehealth-related restrictions were lifted on Medicare and Medicaid recipients and more than 140 million Americans gained access to telehealth services overnight. This put pressure on mainstream private insurers to provide competitive telemedicine coverage to swaths of new patients.

The joint force of these two factors prompted health systems to immediately begin promoting their telehealth initiatives – and some health systems even began building an entire telehealth approach from scratch. However, this sudden spike in demand has put many telehealth plans to the test. Previously, health systems reported that only 8% of the population had ever had a virtual doctor’s visit. This has changed dramatically in the coming months.

**Data records that have nothing to do with the text:**
Diffraction record for Sr6MgW4O18. The XRD peak list is simulated, not measured: it uses the PBE+U geometry in Alexandria and Cu Kα (weighted mean of Kα1 and Kα2).
Peak positions follow from Bragg's law for the DFT cell and can differ from measured ones.

Structural model:
Lattice parameters (Å, degrees): 6.8783 7.2696 9.1686 77.88 79.36 86.94
Positions (direct):
Sr (0.0000, 0.0000, 0.0000)
Sr (0.1028, 0.9161, 0.5180)
Sr (0.2406, 0.3965, 0.2628)
Sr (0.4316, 0.2131, 0.7580)
Sr (0.6224, 0.6180, 0.4415)
Sr (0.7450, 0.5093, 0.0176)
Mg (0.6239, 0.7976, 0.7618)
W (0.0119, 0.4372, 0.6348)
W (0.2119, 0.6218, 0.8365)
W (0.5181, 0.9324, 0.1298)
W (0.6889, 0.0941, 0.3527)
O (0.0090, 0.5925, 0.4441)
O (0.0803, 0.6172, 0.0361)
O (0.0821, 0.3444, 0.8476)
O (0.1483, 0.2353, 0.5696)
O (0.2868, 0.5712, 0.6227)
O (0.3040, 0.8832, 0.7720)
O (0.3162, 0.0773, 0.0491)
O (0.4224, 0.9649, 0.3539)
O (0.4824, 0.6623, 0.1909)
O (0.4838, 0.5496, 0.8640)
O (0.5530, 0.2992, 0.4135)
O (0.6448, 0.1954, 0.1359)
O (0.6794, 0.9128, 0.9260)
O (0.7022, 0.9289, 0.5437)
O (0.7553, 0.3622, 0.6703)
O (0.7729, 0.8773, 0.2376)
O (0.9331, 0.6708, 0.7457)
O (0.9487, 0.1748, 0.3127)

Main lines, by angle (2θ = 10–90°):
2theta	d (Å)	I (rel.)	index
17.55	5.053	77	0 1 -1
17.91	4.953	100	1 0 -1
28.87	3.092	62	0 2 2
30.63	2.919	61	1 1 -2
30.93	2.891	56	1 0 3
31.28	2.860	72	1 -2 1

* * * * *

# 1
For NaCa2F6, a cell relaxed with PBE gives the calculated PXRD pattern in this record (Cu Ka).

Atomic structure:
```
data_NaCa2F6
_space_group_name_H-M_alt 'P 1'
_space_group_IT_number 1
_space_group_name_Hall 'P 1'
_cell_length_a 6.1249
_cell_length_b 6.1249
_cell_length_c 3.6012
_cell_angle_alpha 90.00
_cell_angle_beta 90.00
_cell_angle_gamma 120.00
loop_
_atom_site_label
_atom_site_type_symbol
_atom_site_fract_x
_atom_site_fract_y
_atom_site_fract_z
Na1 Na 0.0000 0.0000 0.0000
Ca1 Ca 0.3333 0.6667 0.2605
Ca2 Ca 0.6667 0.3333 0.7395
F1 F 0.0820 0.3894 0.7546
F2 F 0.3074 0.9180 0.7546
F3 F 0.3894 0.3074 0.2454
F4 F 0.6106 0.6926 0.7546
F5 F 0.6926 0.0820 0.2454
F6 F 0.9180 0.6106 0.2454
```

Principal peaks in the range 2θ = 10–90°, most intense first:
- 2.136 Å, rel. 100
- 1.752 Å, rel. 66
- 2.333 Å, rel. 64
- 1.768 Å, rel. 46
- 2.979 Å, rel. 45
- 3.062 Å, rel. 39
- 5.304 Å, rel. 34
- 1.153 Å, rel. 22

---

# 2
For NaCaNb2O6F, a cell relaxed with PBE gives the calculated PXRD pattern in this record (Cu Ka).

Atomic structure:
```
data_NaCaNb2O6F
_space_group_name_H-M_alt 'P 1'
_space_group_IT_number 1
_space_group_name_Hall 'P 1'
_cell_length_a 7.4800
_cell_length_b 7.4800
_cell_length_c 7.4800
_cell_angle_alpha 120.40
_cell_angle_beta 119.57
_cell_angle_gamma 90.03
loop_
_atom_site_label
_atom_site_type_symbol
_atom_site_fract_x
_atom_site_fract_y
_atom_site_fract_z
Na1 Na 0.5000 0.0000 0.0000
Na2 Na 0.5000 0.5000 0.5000
Ca1 Ca 0.0000 0.0000 0.0000
Ca2 Ca 0.5000 0.0000 0.5000
Nb1 Nb 0.0000 0.0000 0.5000
Nb2 Nb 0.0000 0.5000 0.0000
Nb3 Nb 0.0000 0.5000 0.5000
Nb4 Nb 0.5000 0.5000 0.0000

According to the Advisory Board, an East Coast health system conducted 1,400 telehealth visits during the entirety of 2019 – but once coverage was extended and in-person visits grinded to a halt, they matched that number in a matter of just three days. Much of the American population will try telehealth for the first time in 2020, and it’s reasonable to expect that the overwhelming majority of patients will continue to enjoy the convenience and reduced expenses that come with these telehealth initiatives.

This initial experience has altered patient perceptions regarding virtual care delivery and will create substantial, persistent demand for telemedicine services. Health systems must prepare a telemedicine initiative that will grow from a just-in-time, bandage solution into a competitive, robust aspect of the care continuum. Let’s outline the best ways to craft a telemedicine approach that will not only support a large volume of patients during the COVID-19 outbreak but continue to provide quality care for patients in the coming years.

5 Steps to Create an Effective Telemedicine Approach

Today, emergency rooms are receiving a massive volume of activity – but at the same time, non-emergency providers are experiencing a stark decrease in patient visits. This doesn’t just mean less income for the health system: It means that a large portion of the population is not receiving routine checkups or preventive care, increasing the risk that their conditions will be more advanced, causing complications and demanding extensive care.

Many health systems have already launched a basic telehealth program to remedy these gaps in care. However, to create an offering that will continue to build value for years to come, it’s best to start at square one. Here are five steps to build a comprehensive strategy, and organizations with existing telemedicine strategies need to refine their approach.

1. Outline your strategy

Think about what you’d like your telemedicine program to accomplish not only in the short term, but also the long term. When the threat of COVID-19 begins to subside, how will you deliver continued value and set your telemedicine approach apart? Defining the long-term direction of your telemedicine approach will help your organization create a program that’s fully worth the investment.

Accessibility is paramount when designing a lasting telemedicine strategy. Consider how the elderly, people with disabilities, and low-income individuals will access your service. All your patients deserve access to your telehealth offerings, so keep these considerations top-of-mind.

Integrate your telemedicine approach with technology such as EMRs, scheduling tools, and existing healthcare CRM software to easily organize patient data. Then, keep all data that’s associated with your telehealth system secure through measures such as multi-factor authentication or end-to-end data encryption.

Integration doesn’t begin and end with technology. It’s imperative that every team is involved and properly represented when designing your telemedicine approach. Multiple departments will need to work closely together — for instance, physicians will need to work with the call center to determine which appointments are taking place virtually, and what materials may be needed to provide the best care for the patient.

2. Outline your offerings

Consider the types of remote health services you would like to provide on an ongoing basis. For a base offering, all health systems should provide a real-time form of care through audio-visual means. Audiovisual offerings are more expensive, but they can generate a lot of revenue since they are covered by many kinds of insurance and are often seen as the gold standard for telehealth. Health systems can create additional telehealth offerings, such as chatbots for triage, to expand upon their existing programs.

Unrelated to this piece: materials data =
For TaWSe4, a crystal structure in OQMD, relaxed with GGA-PBE gives the simulated XRD peak list in this record (Cu Kα (weighted mean of Kα1 and Kα2)).
Lines closer than 0.1° are merged.

Structure:
a = 11.780 Å, b = 11.780 Å, c = 5.894 Å
α = 90.00°, β = 90.00°, γ = 163.46°
Fractional coordinates of all 6 atoms:
1 Ta 0.000 0.000 0.000
2 W 0.500 0.500 0.513
3 Se 0.071 0.929 0.345
4 Se 0.427 0.573 0.839
5 Se 0.573 0.427 0.839
6 Se 0.929 0.071 0.345

Top 10 peaks for 15° ≤ 2θ ≤ 90°, sorted by position:
d 5.829, 15.20 deg, rel. 67.7
d 2.915, 30.67 deg, rel. 68.2
d 2.748, 32.59 deg, rel. 58.4
d 2.630, 34.09 deg, rel. 38.0
d 2.486, 36.14 deg, rel. 99.2
d 2.348, 38.33 deg, rel. 54.0
d 2.203, 40.96 deg, rel. 100.0
d 2.072, 43.68 deg, rel. 36.9
d 1.943, 46.75 deg, rel. 62.8
d 1.695, 54.11 deg, rel. 67.6

It’s no small decision — your chosen offering will affect typical care delivery. Thankfully, there are a few questions that health systems can ask to help determine their ideal direction.

  • How comfortable are my physicians with telehealth? Will our current structure contribute to burnout?
  • Will appointments be available during regular hours, or will telemedicine enable more scheduling flexibility?
  • What kinds of services can you offer asynchronously, and which services must be offered over a live video feed?

These questions will help you determine exactly what you will accomplish with your telemedicine offerings, while understanding how it could impact other elements of care delivery. For instance, allowing physicians to work from home could improve their attitude towards telehealth in the long-term, but it may make scheduling more complicated.

3. Examine external considerations

While there are many internal considerations when crafting a telemedicine approach, be sure to examine external factors as well. For example, Medicare and Medicaid are only offering compensation for visits that take place over an audio-visual channel. If your health system would like to design offerings outside of the provider-accepted framework of telehealth, they should be offered at an accessible price, or postponed until they are fiscally feasible.

Then, look at existing state and federal regulations. Certain states will only allow health systems to provide telehealth services to patients with a pre-existing relationship and may require special licensing before providing long-distance health services. Health systems should also monitor any changes and ensure compliance with the telemedicine HIPAA guidelines set forth by the federal government.

4. Involve physicians

Give your physicians a seat at the table when discussing the logistics of your telemedicine program and collect their feedback about your current working strategy. Depending on your workplace culture, you may want to have one-on-one discussions, a group discussion, or even allow a physician’s concerns to be submitted anonymously. Physicians are going to be on the front line of any telemedicine initiative – so resolve as many of their concerns sooner rather than later.

Next, eliminate any sources of hesitation posed by physicians. They may be concerned about not having enough time in their day for both in-person and virtual visits or may worry about providing subpar care. Every hesitation and piece of criticism is an opportunity to provide the highest standard of care to patients, so take their concerns seriously and solicit feedback from physicians continuously.

5. Promote your telemedicine offerings

Marketing may not be top-of-mind in this challenging time, but proper outreach is crucial to informing patients about the value of your telemedicine offerings. Otherwise, you could lose them to a competitor – or worse, they won’t receive any care at all.

Once you’ve assembled a list of physicians who are accepting virtual visits, promote their telehealth and other services where patients are looking for care, including healthgrades.com, the #1 site that consumers use to find a doctor – so marketers should not overlook this resource.

Then, create a strong omnichannel initiative that will reach every patient in every service line offering virtual care in the most effective way possible. Do not overlook any channel – use online listings, paid search, social media, display advertising, email, television, and more, depending on the patient’s preferences. Leverage a contact center that’s integrated with a business insights solution or a well-maintained healthcare CRM to identify these preferences.

Use the data to your advantage and determine which marketing channels patients are most likely to respond to. For example, if a patient has a low open rate for emails, call or text their cell phone with notifications about your new offerings. Then, analyze behavioral data within a certain patient segment to create messaging based around their unique needs. For example, young people who are overdue for a follow-up visit may use telemedicine services if they are assured that their insurance covers it.

If this promotional process seems a bit daunting, there’s no need to dive in head-first. Start with trial runs in your most impactful service lines, and measure if your current outreach methods are resonating with patients. After a patient finishes their virtual visit, survey both patients and providers regarding their experience. Use this information to further refine your program and prepare it for a full, public launch.

Final Thoughts

Before the widespread outbreak of COVID-19, telemedicine was an afterthought that came second to in-person care delivery. Almost overnight, it transformed from a niche offering to a widespread solution. With public health challenges affecting care delivery, providers are desperate to form a telemedicine approach that meets consumer expectations while delivering high-quality care. This requires building a framework that prioritizes sustainability and continued value from the outset.

Telemedicine is no longer viewed as a small value-add but rather as an expected service. It’s not a technological bandage whose sole purpose is to overcome a temporary problem – it will permanently transform health systems, and fundamentally redefine the way we understand patient access and care delivery.

Telehealth: New Reality, New Strategy

Creating a healthcare experience that consumers really want – A free report sponsored by Healthgrades.